Could you work out how many lines below have the word "record" in them; a number is enough?

/*
Starting from the PBE geometry in Alexandria, the X-ray powder pattern of CaBe2Cl6 was simulated for Cu Kα, 1.54184 Å.

The 10 most intense peaks (2θ from 5° to 70°), sorted by position:
| Position (°2θ) | I (rel.) | (hkl) |
| --- | --- | --- |
| 16.2 | 26.2 | 1 1 -1 |
| 20.7 | 28.6 | 2 2 0 |
| 21.4 | 17.5 | 0 2 1 |
| 29.1 | 12.8 | 2 2 1 |
| 29.3 | 26.6 | 4 0 0 |
| 29.5 | 18.4 | 1 3 1 |
| 31.0 | 100.0 | 3 3 -1 |
| 31.2 | 50.4 | 0 0 2 |
| 38.7 | 25.4 | 3 3 1 |
| 49.9 | 18.8 | 3 3 -3 |

Crystal structure
Unit cell a=13.1564 b=12.0999 c=6.1766 alpha=90.00 beta=111.98 gamma=90.00
Space group C2/c (No. 15)
Symmetry-distinct sites (fractional):
Ca 0.0000 0.2502 0.2500 (multiplicity 4)
Be 0.2115 0.0812 0.6604 (multiplicity 8)
Cl 0.1279 0.4115 0.1831 (multiplicity 8)
Cl 0.1292 0.2120 0.7003 (multiplicity 8)
Cl 0.1565 0.0597 0.2970 (multiplicity 8)


Record 1
Diffraction record for Ba2CaSb2O6. The powder X-ray diffraction pattern is simulated, not measured: it uses DFT lattice parameters and positions (GGA-PBE) and Cu Ka.
Intensities are scaled so that the largest is 100.

Structural model:
```
data_Ba2CaSb2O6
_chemical_formula_sum 'Ba6 Ca3 Sb6 O18'
_symmetry_space_group_name_H-M 'R -3 m'
_symmetry_Int_Tables_number 166
_symmetry_space_group_name_Hall '-R 3 2"'
_cell_length_a 6.4741
_cell_length_b 6.4741
_cell_length_c 18.2126
_cell_angle_alpha 90.00
_cell_angle_beta 90.00
_cell_angle_gamma 120.00
loop_
_atom_site_label
_atom_site_type_symbol
_atom_site_fract_x
_atom_site_fract_y
_atom_site_fract_z
Ba1 Ba 0.0000 0.0000 0.2036
Ca1 Ca 0.0000 0.0000 0.0000
Sb1 Sb 0.0000 0.0000 0.4226
O1 O 0.0262 0.5131 0.7559
```

Peak list (10 most intense, 2θ = 15–90°, in order of rising 2θ)
two_theta	intensity	h k l
27.56	100	1 1 0
29.24	72	0 1 5
31.32	18	1 1 3
40.61	33	2 0 5
42.89	17	0 1 8
48.72	20	3 0 0
49.78	36	1 2 5
56.89	19	2 2 0
59.61	11	1 2 8
65.24	14	3 1 5



Record 2
Diffraction record for BaCa3Se4O12. The powder X-ray diffraction pattern is simulated, not measured: it uses DFT lattice parameters and positions (GGA-PBE) and Cu Ka.
Intensities are scaled so that the largest is 100.

Structural model:
```
data_BaCa3Se4O12
_chemical_formula_sum 'Ba3 Ca9 Se12 O36'
_symmetry_space_group_name_H-M 'R 3 2'
_symmetry_Int_Tables_number 155
_symmetry_space_group_name_Hall 'R 3 2"'
_cell_length_a 11.4636
_cell_length_b 11.4636
_cell_length_c 9.0134
_cell_angle_alpha 90.00
_cell_angle_beta 90.00
_cell_angle_gamma 120.00
loop_
_atom_site_label
_atom_site_type_symbol
_atom_site_fract_x
_atom_site_fract_y
_atom_site_fract_z
Ba1 Ba 0.0000 0.0000 0.0000
Ca1 Ca 0.0000 0.5757 0.0000
Se1 Se 0.0000 0.0000 0.5000
Se2 Se 0.0000 0.4027 0.5000
O1 O 0.0000 0.5536 0.5000
O2 O 0.0000 0.8409 0.5000
O3 O 0.0427 0.1970 0.2008
```

Peak list (10 most intense, 2θ = 15–90°, in order of rising 2θ)
two_theta	intensity	h k l
25.72	35	2 1 1
26.72	100	2 0 2
26.94	40	3 0 0
31.01	28	1 2 2
33.68	30	1 1 3
34.05	27	1 3 1
44.14	22	0 2 4
44.57	31	2 3 2
50.21	23	5 0 2
58.02	23	5 2 0



Record 3
Diffraction record for BaCaSiO4. The powder X-ray diffraction pattern is simulated, not measured: it uses DFT lattice parameters and positions (GGA-PBE) and Cu Ka.
Intensities are scaled so that the largest is 100.

Structural model:
```
data_BaCaSiO4
_chemical_formula_sum 'Ba8 Ca8 Si8 O32'
_symmetry_space_group_name_H-M 'P 63 m c'
_symmetry_Int_Tables_number 186
_symmetry_space_group_name_Hall 'P 6c -2c'
_cell_length_a 11.3752
_cell_length_b 11.3752
_cell_length_c 7.2935
_cell_angle_alpha 90.00
_cell_angle_beta 90.00
_cell_angle_gamma 120.00
loop_
_atom_site_label
_atom_site_type_symbol
_atom_site_fract_x
_atom_site_fract_y
_atom_site_fract_z
Ba1 Ba 0.1672 0.3344 0.0000
Ba2 Ba 0.3333 0.6667 0.3086
Ca1 Ca 0.0000 0.0000 0.2063
Ca2 Ca 0.0594 0.5297 0.6740
Si1 Si 0.1716 0.3432 0.4499
Si2 Si 0.3333 0.6667 0.8818
O1 O 0.0855 0.4093 0.3549
O2 O 0.0874 0.1747 0.4188
O3 O 0.1760 0.5880 0.9642
O4 O 0.1883 0.3765 0.6672
O5 O 0.3333 0.6667 0.6590
```
*/

3